• Data:
........
A plane-wave DFT calculation with PBE was carried out for a relaxed Ba6Ti2Nb10Si8O51 crystal.

Values from the calculation:
**Relative energy among the computed polymorphs**: 0.000 eV per atom

Structure (POSCAR):
```
Ba6Ti2Nb10Si8O51
1.0
-4.210 7.546 2.845
10.679 -1.540 5.431
6.959 2.064 -9.675
Ba Ti Nb Si O
6 2 10 8 51
direct
0.000 0.947 0.445
0.596 0.551 0.050
0.410 0.753 0.252
0.000 0.450 0.948
0.589 0.046 0.546
0.404 0.252 0.752
0.000 0.478 0.274
0.000 0.774 0.982
0.762 0.883 0.110
0.766 0.627 0.365
0.239 0.250 0.990
0.000 0.007 0.756
0.999 0.254 0.511
0.757 0.389 0.614
0.762 0.131 0.871
0.234 0.744 0.482
0.238 0.002 0.229
0.242 0.510 0.735
0.675 0.274 0.071
0.326 0.436 0.233
0.670 0.766 0.567
0.669 0.065 0.269
0.331 0.931 0.732
0.331 0.231 0.435
0.674 0.569 0.777
0.326 0.731 0.939
0.827 0.404 0.119
0.000 0.970 0.208
0.830 0.787 0.035
0.831 0.533 0.287
0.000 0.705 0.473
0.496 0.298 0.019
0.767 0.748 0.251
0.999 0.354 0.365
0.002 0.136 0.638
0.696 0.950 0.231
0.508 0.765 0.050
0.696 0.729 0.453
0.507 0.548 0.268
0.818 0.897 0.614
0.299 0.385 0.105
0.817 0.112 0.400
0.675 0.172 0.173
0.823 0.028 0.793
0.000 0.470 0.707
0.823 0.293 0.532
0.001 0.205 0.973
0.489 0.010 0.293
0.175 0.491 0.207
0.490 0.789 0.514
0.768 0.248 0.753
0.722 0.499 0.498
0.168 0.873 0.119
0.168 0.617 0.372
0.277 0.136 0.136
0.000 0.863 0.857
0.233 0.864 0.367
0.697 0.452 0.738
0.511 0.269 0.550
0.509 0.046 0.772
0.699 0.235 0.956
0.306 0.103 0.384
0.308 0.882 0.606
0.826 0.617 0.907
0.326 0.334 0.334
0.677 0.670 0.674
0.493 0.517 0.800
0.183 0.204 0.491
0.182 0.988 0.705
0.724 0.997 0.997
0.179 0.382 0.621
0.181 0.117 0.883
0.277 0.638 0.637
0.233 0.362 0.867
0.297 0.601 0.888
0.324 0.831 0.836
0.176 0.705 0.995
```

***

A plane-wave DFT calculation with PBE was carried out for a relaxed Ba6Ti2Nb10Si8O51 crystal.

Values from the calculation:
**Relative energy among the computed polymorphs**: 0.004 eV per atom

Structure (POSCAR):
```
Ba6Ti2Nb10Si8O51
1.0
-7.341 0.396 9.527
8.283 -1.509 8.597
1.216 7.556 4.963
Ba Ti Nb Si O
6 2 10 8 51
direct
0.946 0.946 0.000
0.550 0.550 0.406
0.753 0.753 0.590
0.447 0.447 0.000
0.048 0.048 0.410
0.252 0.252 0.595
0.480 0.771 0.000
0.771 0.480 0.000
0.874 0.619 0.236
0.619 0.874 0.236
0.242 0.500 0.760
0.007 0.255 0.000
0.255 0.007 0.000
0.380 0.122 0.241
0.122 0.380 0.241
0.736 0.992 0.764
0.992 0.736 0.764
0.500 0.242 0.760
0.276 0.568 0.326
0.439 0.731 0.674
0.768 0.065 0.331
0.065 0.768 0.331
0.934 0.231 0.669
0.231 0.934 0.669
0.568 0.276 0.326
0.731 0.439 0.674
0.407 0.617 0.175
0.973 0.705 0.000
0.789 0.534 0.169
0.534 0.789 0.169
0.705 0.973 0.000
0.300 0.514 0.506
0.749 0.749 0.232
0.353 0.860 0.000
0.138 0.138 0.000
0.950 0.732 0.304
0.765 0.551 0.493
0.732 0.950 0.304
0.551 0.765 0.493
0.899 0.113 0.183
0.388 0.602 0.702
0.113 0.899 0.183
0.172 0.670 0.327
0.029 0.295 0.176
0.472 0.205 0.000
0.295 0.029 0.176
0.205 0.472 0.000
0.011 0.792 0.511
0.494 0.705 0.825
0.792 0.011 0.511
0.250 0.250 0.231
0.498 0.998 0.281
0.873 0.617 0.833
0.617 0.873 0.833
0.139 0.638 0.719
0.860 0.353 0.000
0.865 0.865 0.769
0.453 0.239 0.300
0.268 0.049 0.490
0.049 0.268 0.490
0.239 0.453 0.300
0.103 0.885 0.694
0.885 0.103 0.694
0.617 0.407 0.175
0.335 0.833 0.673
0.670 0.172 0.327
0.514 0.300 0.506
0.204 0.990 0.817
0.990 0.204 0.817
0.998 0.498 0.281
0.383 0.117 0.822
0.117 0.383 0.822
0.638 0.139 0.719
0.365 0.365 0.768
0.602 0.388 0.702
0.833 0.335 0.673
0.705 0.494 0.825
```

***

A plane-wave DFT calculation with PBE was carried out for a relaxed Ba2SmNbO6 crystal.

Structure (POSCAR):
```
Ba2SmNbO6
........

• Assignment:
Return the lines earlier on from the one with "0.002 0.136" to the one with "0.242 0.500" verbatim.

• Done:
0.002 0.136 0.638
0.696 0.950 0.231
0.508 0.765 0.050
0.696 0.729 0.453
0.507 0.548 0.268
0.818 0.897 0.614
0.299 0.385 0.105
0.817 0.112 0.400
0.675 0.172 0.173
0.823 0.028 0.793
0.000 0.470 0.707
0.823 0.293 0.532
0.001 0.205 0.973
0.489 0.010 0.293
0.175 0.491 0.207
0.490 0.789 0.514
0.768 0.248 0.753
0.722 0.499 0.498
0.168 0.873 0.119
0.168 0.617 0.372
0.277 0.136 0.136
0.000 0.863 0.857
0.233 0.864 0.367
0.697 0.452 0.738
0.511 0.269 0.550
0.509 0.046 0.772
0.699 0.235 0.956
0.306 0.103 0.384
0.308 0.882 0.606
0.826 0.617 0.907
0.326 0.334 0.334
0.677 0.670 0.674
0.493 0.517 0.800
0.183 0.204 0.491
0.182 0.988 0.705
0.724 0.997 0.997
0.179 0.382 0.621
0.181 0.117 0.883
0.277 0.638 0.637
0.233 0.362 0.867
0.297 0.601 0.888
0.324 0.831 0.836
0.176 0.705 0.995
```

***

A plane-wave DFT calculation with PBE was carried out for a relaxed Ba6Ti2Nb10Si8O51 crystal.

Values from the calculation:
**Relative energy among the computed polymorphs**: 0.004 eV per atom

Structure (POSCAR):
```
Ba6Ti2Nb10Si8O51
1.0
-7.341 0.396 9.527
8.283 -1.509 8.597
1.216 7.556 4.963
Ba Ti Nb Si O
6 2 10 8 51
direct
0.946 0.946 0.000
0.550 0.550 0.406
0.753 0.753 0.590
0.447 0.447 0.000
0.048 0.048 0.410
0.252 0.252 0.595
0.480 0.771 0.000
0.771 0.480 0.000
0.874 0.619 0.236
0.619 0.874 0.236
0.242 0.500 0.760